We are looking for women between the ages of 18-45 to join a national health study to help us understand the impact of HIV on women's lives and bodies. Both women living with HIV and women without HIV are invited to take part.
We are looking for people who are between the ages of 30-70 to join a national health study to help us better understand the impact of chronic health conditions on people living with HIV. Both people living with HIV and people without HIV are invited to take part.
During puberty, adolescents grow and change a lot which may make life seem more stressful and emotional. Male and female adolescents experience the changes associated with puberty differently, possibly because of different responses to changes in hormones, including testosterone and estrogen. We are interested in learning more about the role of these hormones in regulating emotional processing and mood symptoms, and whether a mobile training program can help improve mood during the pubertal transition. Participation is 8 weeks with two monthly follow-up surveys. Compensation provided.
We want to learn how people's brains adapt when responding to various food stimuli and decision-making processes. We also want to learn about brain responses to food and beverage consumption. To do this, we will use taste tests, surveys, behavioral tasks, and neuroimaging (fMRI scan).
The purpose of this research study is to get feedback from Black and Latino (a/e/x) participants on the SMILE mHealth app, an app developed to monitor the effects of a mindfulness program through heart rate monitoring and questionnaires.
Leveraging our decades of experience studying the acute and chronic effects of traumatic brain injury (TBI) and concussion, our investigative team propose an innovative, translational approach that bridges both preclinical and clinical studies. We propose testing multiple potential preventative and therapeutic strategies in the preclinical setting, while simultaneously conducting a prospective, longitudinal study of neurologic health outcomes associated with concussion and sub-concussive exposure in former NFL players. Our prior studies of former NFL players over the past 15 years provide us with a unique opportunity to conduct a truly prospective, longitudinal study of long-term neurologic health outcomes and determine any possible association with concussion and repetitive sub-concussive exposure. In parallel, we have developed animal models of repeated concussions (repetitive mild TBI [rmTBI]) and chronic traumatic encephalopathy (CTE). We have studied the effects of readily translatable preventative and therapeutic strategies, including the N-methyl-D-aspartate (NMDA) receptor antagonist memantine, low dose carbon monoxide
Did you receive a COVID-19 vaccine during or immediately before pregnancy? You may be able to take part in this study to help us learn more about the developmental outcomes of your child.
In this study, we want to learn more about the experiences and activities of high school-aged youth after a neurological event. This study will also help us to understand the perspectives of youth and a parent/caregiver through photos and stories.
**The page is interrupted by data records**
........
DFT (PBE+U) results for an optimized crystal structure of NaMo3H29C8Br4O8.

Geometry as extended XYZ:
```
106
Lattice="-9.051 -6.820 -3.006 0.848 -11.644 1.328 -4.061 -1.938 12.313" Properties=species:S:1:pos:R:3 pbc="T T T"
C -9.177 -9.180 5.538
C -3.130 -3.785 5.423
C -8.305 -17.301 1.120
C -7.849 -9.319 -1.203
C -3.959 -3.101 9.515
C -5.693 -13.375 7.343
C -4.618 -10.150 1.603
C -7.646 -10.251 9.031
C -8.130 -12.431 3.357
C -4.134 -7.971 7.278
C -10.772 -14.901 8.186
C -4.415 -11.083 11.837
C -6.571 -7.026 3.291
C -9.134 -16.617 5.212
C -3.087 -11.222 5.097
C -1.492 -5.501 2.448
Br -6.954 -13.964 -0.402
Br -5.310 -6.438 11.037
Br -10.627 -7.451 8.986
Br -4.504 -14.887 3.218
Br -1.637 -12.951 1.649
Br -4.143 -6.384 0.203
Br -8.121 -14.018 10.432
Br -7.760 -5.515 7.416
H -9.950 -14.176 8.062
H -5.594 -12.676 6.499
H -5.507 -6.986 2.996
H -7.617 -12.498 4.333
H -9.865 -15.982 4.682
H -3.232 -2.681 8.798
H -2.179 -12.601 6.188
H -5.395 -14.379 6.996
H -9.032 -17.721 1.837
H -9.802 -9.960 6.004
H -5.440 -9.079 8.301
H -11.370 -14.918 7.262
H -8.184 -9.605 5.329
H -6.757 -13.416 7.638
H -3.205 -12.049 4.383
H -7.173 -11.017 8.395
H -7.898 -13.343 2.780
H -8.346 -17.919 0.204
H -9.059 -8.353 6.251
H -3.541 -10.189 1.861
H -4.758 -13.623 9.105
H -2.367 -3.184 3.708
H -4.366 -7.059 7.854
H -8.192 -8.938 -2.179
H -3.757 -3.277 6.166
H -8.642 -16.281 0.858
H -8.494 -15.979 5.839
H -5.091 -9.385 2.240
H -11.423 -14.544 9.003
H -3.049 -7.988 7.092
H -4.080 -10.797 5.305
H -8.723 -10.213 8.774
H -7.072 -8.644 -0.818
H -4.072 -11.464 12.813
H -2.314 -6.226 2.573
H -6.869 -6.023 3.639
H -5.192 -11.758 11.453
H -3.918 -2.483 10.431
H -7.406 -10.320 -1.346
H -9.215 -12.414 3.542
H -7.506 -6.779 1.529
H -3.622 -4.120 9.777
H -11.668 -17.312 8.231
H -2.399 -4.420 5.953
H -4.703 -9.811 0.554
H -8.507 -17.125 4.468
H -6.670 -7.725 4.135
H -0.841 -5.858 1.631
H -4.858 -10.082 11.981
H -6.824 -11.323 2.333
H -7.561 -10.591 10.081
H -2.462 -10.442 4.630
H -0.596 -3.090 2.404
H -4.647 -7.904 6.302
H -9.897 -17.218 6.926
H -10.085 -7.801 4.446
H -0.894 -5.484 3.373
H -3.770 -4.423 4.795
O -9.808 -17.608 6.019
O -4.864 -12.908 8.406
O -7.012 -8.996 8.822
O -2.456 -2.794 4.615
O -9.776 -8.724 4.311
O -8.914 -9.344 -0.246
O -10.274 -16.218 8.454
O -1.990 -4.183 2.181
O -7.006 -17.288 1.696
O -2.488 -11.678 6.323
O -4.483 -9.155 7.991
O -3.350 -11.058 10.880
O -7.400 -7.494 2.228
O -7.781 -11.247 2.644
O -5.252 -11.406 1.812
O -5.258 -3.114 8.938
Na -3.351 -11.138 8.502
Na -8.913 -9.264 2.132
Mo -5.487 -16.251 0.779
Mo -9.098 -16.503 10.141
Mo -4.477 -13.072 0.883
Mo -3.166 -3.899 0.493
Mo -6.777 -4.151 9.855
Mo -7.787 -7.330 9.752
```

Calculated values
Total energy after the MP2020 corrections   -560.75 eV/cell
Formation enthalpy at 0 K   -531 meV per atom
V   1529.5 Å³/cell
Space-group type   No. 2
Theoretical density   1919 kg/m³


[1]
DFT (PBE) results for a relaxed structure of ZnSb2P2O10.

Results
- Corrected total energy (MP2020 scheme): -6.77 eV per atom
........
**End of the data records**
We want to learn more about how executive functioning differs between children with ADHD, ASD, or neither. We have finished recruiting for our ADHD and typically developing groups but are still recruiting autistic children to be a part of our study. Children will complete an iPad-based measure of executive functioning and complete various tasks while their brain activity is being monitored using EEG. We will also complete a short eye-tracking task. Parents will fill out different forms to get an understanding of each child's developmental history and current behaviors.
Learn more about the learning experiences of undergraduate students when they take Asian Studies courses in order to improve the engagement of students in the future.